_Source_
/*
# 1
{"formula": "ZnNi2O4", "functional": "PBE+U", "state": "relaxed", "magnetic_moment_mub_per_atom": 0.333, "space_group": "No. 156", "e_form_ev_per_atom": -1.18, "volume_a3_per_cell": 436.4, "cell": [[-1.569, 5.225, 2.227], [-1.682, -4.971, 2.681], [12.101, 0.222, 8.003]], "species": ["O", "Ni", "O", "Zn", "Zn", "O", "O", "Ni", "O", "O", "Ni", "O", "Ni", "O", "O", "O", "O", "Zn", "Zn", "O", "Ni", "Ni", "Ni", "O", "O", "Ni", "O", "O", "O", "O", "O", "O", "Ni", "Ni", "Ni", "Zn", "O", "O", "Zn", "O", "O", "Ni"], "fractional_positions": [[0.817, 0.634, 0.247], [0.665, 0.833, 0.834], [0.174, 0.347, 0.091], [0.667, 0.333, 0.954], [0.333, 0.667, 0.376], [0.693, 0.847, 0.572], [0.667, 0.333, 0.092], [0.167, 0.335, 0.834], [0.153, 0.307, 0.572], [0.174, 0.826, 0.091], [0.667, 0.333, 0.334], [0.333, 0.667, 0.754], [0.833, 0.167, 0.499], [0.485, 0.971, 0.906], [0.966, 0.483, 0.423], [0.653, 0.826, 0.091], [0.333, 0.667, 0.239], [0.000, 0.000, 0.667], [0.333, 0.667, 0.620], [0.000, 0.000, 0.916], [0.833, 0.667, 0.499], [0.167, 0.833, 0.834], [0.501, 0.499, 0.167], [0.667, 0.333, 0.576], [0.366, 0.183, 0.247], [0.667, 0.333, 0.714], [0.517, 0.034, 0.423], [0.846, 0.693, 0.762], [0.307, 0.154, 0.762], [0.485, 0.515, 0.906], [0.153, 0.847, 0.572], [0.817, 0.183, 0.247], [0.998, 0.499, 0.167], [0.333, 0.167, 0.499], [0.501, 0.002, 0.167], [0.000, 0.000, 0.289], [0.517, 0.483, 0.423], [0.029, 0.515, 0.906], [0.333, 0.667, 0.001], [0.846, 0.154, 0.762], [0.000, 0.000, 0.424], [0.000, 0.000, 0.044]]}

***

# 2
{"formula": "SrEuNiO4", "functional": "PBE+U", "state": "relaxed", "magnetic_moment_mub_per_atom": 1.000, "space_group": "No. 63", "e_form_ev_per_atom": -2.38, "volume_a3_per_cell": 182.9, "cell": [[1.370, 4.428, 4.881], [-2.668, -6.179, 0.110], [4.988, -2.144, 0.545]], "species": ["O", "Ni", "O", "Ni", "O", "O", "Sr", "Sr", "O", "O", "Eu", "O", "Eu", "O"], "fractional_positions": [[0.000, 0.500, 0.000], [0.249, 0.751, 0.250], [0.000, 0.500, 0.500], [0.751, 0.249, 0.750], [0.409, 0.591, 0.250], [0.500, 0.000, 0.000], [0.393, 0.607, 0.750], [0.607, 0.393, 0.250], [0.079, 0.921, 0.250], [0.591, 0.409, 0.750], [0.112, 0.888, 0.750], [0.921, 0.079, 0.750], [0.888, 0.112, 0.250], [0.500, 0.000, 0.500]]}

***

# 3
{"formula": "La2Mn3Sb3O14", "functional": "PBE+U", "state": "relaxed", "magnetic_moment_mub_per_atom": 0.000, "e_form_ev_per_atom": -2.44, "volume_a3_per_cell": 575.8, "cell": [[-5.245, -0.016, -5.274], [5.154, -10.415, -5.214], [-0.019, -5.248, 5.276]], "species": ["O", "O", "O", "La", "Sb", "O", "Mn", "O", "O", "Mn", "O", "O", "Mn", "O", "O", "O", "O", "O", "Sb", "Sb", "O", "O", "O", "O", "Mn", "Mn", "La", "Sb", "Mn", "O", "La", "O", "O", "O", "O", "O", "O", "O", "O", "O", "Sb", "Sb", "O", "La"], "fractional_positions": [[0.252, 0.410, 0.418], [0.697, 0.945, 0.858], [0.341, 0.588, 0.571], [0.250, 0.250, 0.000], [0.250, 0.750, 0.000], [0.671, 0.410, 0.838], [0.000, 0.500, 0.500], [0.537, 0.788, 0.577], [0.197, 0.445, 0.858], [0.500, 0.000, 0.500], [0.659, 0.412, 0.429], [0.958, 0.715, 0.827], [0.500, 0.500, 0.500], [0.542, 0.785, 0.173], [0.865, 0.212, 0.825], [0.463, 0.212, 0.423], [0.963, 0.712, 0.423], [0.829, 0.090, 0.162], [0.250, 0.250, 0.500], [0.750, 0.250, 0.000], [0.042, 0.285, 0.173], [0.748, 0.590, 0.582], [0.037, 0.288, 0.577], [0.841, 0.088, 0.571], [0.000, 0.000, 0.500], [0.000, 0.000, 0.000], [0.500, 0.000, 0.000], [0.250, 0.750, 0.500], [0.500, 0.500, 0.000], [0.159, 0.912, 0.429], [0.000, 0.500, 0.000], [0.635, 0.288, 0.175], [0.135, 0.788, 0.175], [0.329, 0.590, 0.162], [0.171, 0.910, 0.838], [0.803, 0.555, 0.142], [0.248, 0.090, 0.582], [0.458, 0.215, 0.827], [0.365, 0.712, 0.825], [0.752, 0.910, 0.418], [0.750, 0.750, 0.500], [0.750, 0.250, 0.500], [0.303, 0.055, 0.142], [0.750, 0.750, 0.000]]}

***

# 4
*/

_Brief_
Could you transcribe the whole of the data further up without additions?

_Reply_
# 1
{"formula": "ZnNi2O4", "functional": "PBE+U", "state": "relaxed", "magnetic_moment_mub_per_atom": 0.333, "space_group": "No. 156", "e_form_ev_per_atom": -1.18, "volume_a3_per_cell": 436.4, "cell": [[-1.569, 5.225, 2.227], [-1.682, -4.971, 2.681], [12.101, 0.222, 8.003]], "species": ["O", "Ni", "O", "Zn", "Zn", "O", "O", "Ni", "O", "O", "Ni", "O", "Ni", "O", "O", "O", "O", "Zn", "Zn", "O", "Ni", "Ni", "Ni", "O", "O", "Ni", "O", "O", "O", "O", "O", "O", "Ni", "Ni", "Ni", "Zn", "O", "O", "Zn", "O", "O", "Ni"], "fractional_positions": [[0.817, 0.634, 0.247], [0.665, 0.833, 0.834], [0.174, 0.347, 0.091], [0.667, 0.333, 0.954], [0.333, 0.667, 0.376], [0.693, 0.847, 0.572], [0.667, 0.333, 0.092], [0.167, 0.335, 0.834], [0.153, 0.307, 0.572], [0.174, 0.826, 0.091], [0.667, 0.333, 0.334], [0.333, 0.667, 0.754], [0.833, 0.167, 0.499], [0.485, 0.971, 0.906], [0.966, 0.483, 0.423], [0.653, 0.826, 0.091], [0.333, 0.667, 0.239], [0.000, 0.000, 0.667], [0.333, 0.667, 0.620], [0.000, 0.000, 0.916], [0.833, 0.667, 0.499], [0.167, 0.833, 0.834], [0.501, 0.499, 0.167], [0.667, 0.333, 0.576], [0.366, 0.183, 0.247], [0.667, 0.333, 0.714], [0.517, 0.034, 0.423], [0.846, 0.693, 0.762], [0.307, 0.154, 0.762], [0.485, 0.515, 0.906], [0.153, 0.847, 0.572], [0.817, 0.183, 0.247], [0.998, 0.499, 0.167], [0.333, 0.167, 0.499], [0.501, 0.002, 0.167], [0.000, 0.000, 0.289], [0.517, 0.483, 0.423], [0.029, 0.515, 0.906], [0.333, 0.667, 0.001], [0.846, 0.154, 0.762], [0.000, 0.000, 0.424], [0.000, 0.000, 0.044]]}

***

# 2
{"formula": "SrEuNiO4", "functional": "PBE+U", "state": "relaxed", "magnetic_moment_mub_per_atom": 1.000, "space_group": "No. 63", "e_form_ev_per_atom": -2.38, "volume_a3_per_cell": 182.9, "cell": [[1.370, 4.428, 4.881], [-2.668, -6.179, 0.110], [4.988, -2.144, 0.545]], "species": ["O", "Ni", "O", "Ni", "O", "O", "Sr", "Sr", "O", "O", "Eu", "O", "Eu", "O"], "fractional_positions": [[0.000, 0.500, 0.000], [0.249, 0.751, 0.250], [0.000, 0.500, 0.500], [0.751, 0.249, 0.750], [0.409, 0.591, 0.250], [0.500, 0.000, 0.000], [0.393, 0.607, 0.750], [0.607, 0.393, 0.250], [0.079, 0.921, 0.250], [0.591, 0.409, 0.750], [0.112, 0.888, 0.750], [0.921, 0.079, 0.750], [0.888, 0.112, 0.250], [0.500, 0.000, 0.500]]}

***

# 3
{"formula": "La2Mn3Sb3O14", "functional": "PBE+U", "state": "relaxed", "magnetic_moment_mub_per_atom": 0.000, "e_form_ev_per_atom": -2.44, "volume_a3_per_cell": 575.8, "cell": [[-5.245, -0.016, -5.274], [5.154, -10.415, -5.214], [-0.019, -5.248, 5.276]], "species": ["O", "O", "O", "La", "Sb", "O", "Mn", "O", "O", "Mn", "O", "O", "Mn", "O", "O", "O", "O", "O", "Sb", "Sb", "O", "O", "O", "O", "Mn", "Mn", "La", "Sb", "Mn", "O", "La", "O", "O", "O", "O", "O", "O", "O", "O", "O", "Sb", "Sb", "O", "La"], "fractional_positions": [[0.252, 0.410, 0.418], [0.697, 0.945, 0.858], [0.341, 0.588, 0.571], [0.250, 0.250, 0.000], [0.250, 0.750, 0.000], [0.671, 0.410, 0.838], [0.000, 0.500, 0.500], [0.537, 0.788, 0.577], [0.197, 0.445, 0.858], [0.500, 0.000, 0.500], [0.659, 0.412, 0.429], [0.958, 0.715, 0.827], [0.500, 0.500, 0.500], [0.542, 0.785, 0.173], [0.865, 0.212, 0.825], [0.463, 0.212, 0.423], [0.963, 0.712, 0.423], [0.829, 0.090, 0.162], [0.250, 0.250, 0.500], [0.750, 0.250, 0.000], [0.042, 0.285, 0.173], [0.748, 0.590, 0.582], [0.037, 0.288, 0.577], [0.841, 0.088, 0.571], [0.000, 0.000, 0.500], [0.000, 0.000, 0.000], [0.500, 0.000, 0.000], [0.250, 0.750, 0.500], [0.500, 0.500, 0.000], [0.159, 0.912, 0.429], [0.000, 0.500, 0.000], [0.635, 0.288, 0.175], [0.135, 0.788, 0.175], [0.329, 0.590, 0.162], [0.171, 0.910, 0.838], [0.803, 0.555, 0.142], [0.248, 0.090, 0.582], [0.458, 0.215, 0.827], [0.365, 0.712, 0.825], [0.752, 0.910, 0.418], [0.750, 0.750, 0.500], [0.750, 0.250, 0.500], [0.303, 0.055, 0.142], [0.750, 0.750, 0.000]]}

***

# 4